Metasploitable 2 Walkthrough by TirexV2

4 min readMay 8, 2024


Metasploitable 2 is a test environment that provides a secure place to perform penetration testing and security research. For your test environment, you need a Metasploit instance that can access a vulnerable target. The following sections describe the requirements and instructions for setting up a vulnerable target.

0 . Starting Target Machine:

“We fire up the target machine on our local and we log in with msfadmin@msfadmin as User & Password.

We use ifconfig to discover the target IP ”

1 . Scanning with Nmap:

“We will employ Nmap to uncover the active services running on the target machine. ”

nmap -sC -sV -Pn -o scan.txt 
nmap p1
nmap p2
nmap p3

2 . FTP Exploit :

“Based on our Nmap Scan, it appears that numerous ports are currently open. We noticed that ftp-anon is enabled.”

FTP Anonym Login

“We will try to check what we can find with that info.”

“seems useless for us, so we will try to brute-force FTP credentials using Hydra with Seclists Wordlist”

Hydra with output file

“Our Output file “Hydra.txt” shows us the successful login credentials which are msfadmin@msfadmin

“Let’s log in to FTP now:”

“Using ls -la we found a bunch of files and directories and we noticed a juicy dir named .ssh so we navigate to it. We downloaded the files to our local machine to analyze them.”

“In our Nmap Scan, We have observed something noteworthy. The FTP software on our target machine is vulnerable to vsftpd 2.3.4 | CVE-2011-2523 . After a quick search in exploit DB. We found exploit/unix/ftp/vsftpd_234_backdoor

“We configured the payload usingshow options command to discover the parameters,set to edit them. RHOST ref to remote host.”

“We received a successful session response in our console. As you can see we have the root privilege”

3 . SSH Exploit:

“Nmap shows us that we have SSH service active on port 22 so let’s try to mess with him”

“After a quick search in exploit DB, we found CVE-1999–0502 “SSH — User Code Execution (Metasploit)””

“So we used auxiliary/scanner/ssh/ssh_login. As you can see below we used a custom User and Password list. We configured PASS_FILE | USER_FILE with the lists full path using set PASS_FILE & set USER_FILE


4 . Privilege escalation:

(Misplaced data records)
<<<
(1)
Computed, not measured: Si3AsH27C9 after structural relaxation at the PBE level of DFT.

Cell: 10.2690 15.8226 12.9464 Å, 90.00 114.74 90.00°
Last column: nearest neighbours and their distance in Å.
Space group P2_1/c (No. 14)
Symmetry-distinct sites (fractional):
Si  0.0191  0.2089  0.4710 [4 per cell]  3 C 1.89
Si  0.2904  0.1165  0.0621 [4 per cell]  3 C 1.89
Si  0.4098  0.1585  0.5991 [4 per cell]  3 C 1.89
As  0.2392  0.2490  0.9647 [4 per cell]  3 Si 2.39
H  0.0181  0.0654  0.3872 [4 per cell]  1 C 1.10
H  0.0678  0.6412  0.2211 [4 per cell]  1 C 1.10
H  0.0737  0.0437  0.9169 [4 per cell]  1 C 1.10
H  0.0763  0.2190  0.6800 [4 per cell]  1 C 1.10
H  0.0761  0.6464  0.5187 [4 per cell]  1 C 1.10
H  0.0797  0.6571  0.8958 [4 per cell]  1 C 1.10
H  0.0933  0.1134  0.6412 [4 per cell]  1 C 1.10
H  0.1194  0.6755  0.6622 [4 per cell]  1 C 1.10
H  0.1225  0.1100  0.1580 [4 per cell]  1 C 1.10
H  0.1588  0.5997  0.1417 [4 per cell]  1 C 1.10
H  0.2148  0.5293  0.4884 [4 per cell]  1 C 1.10
H  0.2168  0.7195  0.5892 [4 per cell]  1 C 1.10
H  0.2211  0.0368  0.8794 [4 per cell]  1 C 1.10
H  0.2481  0.0332  0.5736 [4 per cell]  1 C 1.10
H  0.2718  0.0420  0.2240 [4 per cell]  1 C 1.10
H  0.2899  0.1527  0.2518 [4 per cell]  1 C 1.10
H  0.3183  0.0338  0.4693 [4 per cell]  1 C 1.10
H  0.3365  0.6272  0.8639 [4 per cell]  1 C 1.10
H  0.3533  0.1715  0.7702 [4 per cell]  1 C 1.10
H  0.3751  0.7358  0.8985 [4 per cell]  1 C 1.10
H  0.4282  0.0015  0.6109 [4 per cell]  1 C 1.10
H  0.4359  0.6583  0.0079 [4 per cell]  1 C 1.10
H  0.4463  0.6375  0.3153 [4 per cell]  1 C 1.10
H  0.4717  0.6297  0.6933 [4 per cell]  1 C 1.10
H  0.4753  0.6034  0.4541 [4 per cell]  1 C 1.10
H  0.4871  0.5300  0.3545 [4 per cell]  1 C 1.10
H  0.4958  0.2396  0.7822 [4 per cell]  1 C 1.10
C  0.0293  0.1715  0.6126 [4 per cell]  3 H 1.10
C  0.0536  0.6205  0.1360 [4 per cell]  3 H 1.10
C  0.1097  0.6992  0.5794 [4 per cell]  3 H 1.10
C  0.1903  0.0345  0.9511 [4 per cell]  3 H 1.10
C  0.2389  0.1050  0.1854 [4 per cell]  3 H 1.10
C  0.3443  0.0465  0.5592 [4 per cell]  3 H 1.10
C  0.4185  0.6715  0.9197 [4 per cell]  3 H 1.10
C  0.4495  0.1767  0.7536 [4 per cell]  3 H 1.10
C  0.4890  0.0954  0.1143 [4 per cell]  3 H 1.10

Output
- calculated total energy (eV/atom) = -5.098
- total magnetic moment (μB per formula unit) = 0.00

---

(2)
Computed, not measured: SmPu4Ir4 after structural relaxation at the PBE level of DFT.

Cell: 8.9893 8.9893 5.5514 Å, 90.00 90.00 90.00°
Last column: nearest neighbours and their distance in Å.
Space group I4/m (No. 87)
Symmetry-distinct sites (fractional):
Sm  0.0000  0.0000  0.0000 [2 per cell]  4 Ir 2.93
Pu  0.1033  0.6882  0.5000 [8 per cell]  5 Ir 2.74-2.84
Ir  0.1146  0.6953  0.0000 [8 per cell]  5 Pu 2.74-2.84, 1 Sm 2.93

Output
- E_form (eV per atom) = -0.37
- calculated total energy (eV/atom) = -11.205
- total magnetic moment (μB per formula unit) = 19.23

---

(3)
>>>
(So much for the data records)

“After obtaining our session, we can proceed to navigate within it.”

“So we are identified as “msfadmin” but we don’t have the root privilege so we will try to discover the “SUID Binaries” with find / -prem -u=s -type f 2>/dev/null

“We have su“switch user” so let’s check GTFOBins su”

“Let’s try “sudo su”

“and it worked perfectly and we switched to root.”

